Work order =
It remains to print only the lines underneath with the word "of" in them.
Input =
<<<
Entry 1:
{
  "formula": "C5H6O2S3",
  "method": "the ωB97M-V functional and the def2-TZVPD basis",
  "lumo_energy_ev": [-0.28, -0.28],
  "homo_ev": [-8.58, -8.58],
  "homo_lumo_gap_ev": [8.31, 8.30],
  "symbols": ["C", "C", "C", "C", "C", "O", "O", "S", "S", "S", "H", "H", "H", "H", "H", "H"],
  "coordinates": [[0.537, -1.033, -1.971], [0.623, -0.476, -0.670], [0.437, -0.082, -2.890], [0.615, 0.858, -0.677], [-2.305, -1.239, 2.340], [0.160, 0.848, 1.894], [2.188, 2.033, 0.999], [0.515, 1.499, -2.282], [-2.762, -0.641, 0.870], [0.531, 1.819, 0.812], [0.588, -2.035, -2.056], [0.419, -1.072, 0.247], [0.395, -0.203, -3.941], [-3.049, -1.497, 2.978], [-1.227, -1.190, 2.487], [2.335, 2.411, 1.860]],
  "mulliken_charge": [-0.733, -0.102, -0.358, 0.310, -0.328, -0.543, -0.463, -0.137, -0.176, 0.479, 0.503, 0.312, 0.414, 0.339, 0.163, 0.318]
}

=====

Entry 2:
{
  "formula": "C5H6O3",
  "method": "the ωB97M-V functional and the def2-TZVPD basis",
  "lumo_energy_ev": -0.58,
  "homo_ev": -9.63,
  "homo_lumo_gap_ev": 9.05,
  "symbols": ["C", "C", "C", "C", "C", "H", "H", "H", "H", "H", "H", "O", "O", "O"],
  "coordinates": [[-2.154, -1.380, 0.318], [-0.217, -0.136, 0.135], [0.991, 0.509, -0.106], [0.909, 1.890, -0.878], [2.372, 0.005, 0.323], [-2.459, -2.552, 0.302], [-2.766, -0.995, 1.069], [-2.520, -1.144, -0.681], [-1.106, 0.618, -0.255], [1.917, 2.145, -1.161], [3.183, 1.229, 1.070], [-0.563, -1.382, 0.667], [-0.128, 2.580, -0.916], [2.540, -1.389, 0.111]],
  "mulliken_charge": [-0.778, -0.018, 0.353, 0.008, -0.189, 0.253, 0.382, 0.385, 0.285, 0.362, 0.249, -0.324, -0.528, -0.439]
}

=====

Entry 3:
{
  "formula": "C5H6O3",
  "method": "the ωB97M-V functional and the def2-TZVPD basis",
  "lumo_energy_ev": -1.56,
  "smiles": "C=C(C)OC(=O)C=O",
  "homo_ev": -9.62,
  "homo_lumo_gap_ev": 8.06,
  "symbols": ["C", "C", "C", "O", "C", "O", "C", "O", "H", "H", "H", "H", "H", "H"],
  "coordinates": [[-0.888, 0.054, -2.206], [-1.152, -0.023, -0.857], [-2.439, 0.539, -0.305], [-0.365, -0.223, 0.297], [1.024, -0.317, 0.138], [1.627, -0.444, -0.895], [1.582, -0.400, 1.515], [1.164, 0.678, 2.395], [-1.818, 0.374, -2.873], [-0.095, -0.453, -2.638], [-2.559, 1.518, 0.242], [-3.190, 0.497, -1.108], [-3.016, 0.009, 0.614], [2.506, -1.150, 1.676]],
  "mulliken_charge": [-0.875, 0.741, -1.102, -0.212, 0.735, -0.488, -0.102, -0.412, 0.209, 0.380, 0.281, 0.308, 0.265, 0.272]
}

* * * * *

This record from OMol25 describes a 7-piece molecular cluster, C47H38FIN3O30 overall at a distorted geometry. The level of theory is ωB97M-V/def2-TZVPD.

Positions of all 120 atoms, in Å:
C -2.55714 -6.86974 -3.55951
C -2.04910 -5.49964 -3.04637
O -0.98936 -5.49425 -2.48099
N -2.72148 -4.21052 -3.17828
C -2.99607 -3.76552 -4.51304
C -3.40172 -4.66307 -5.70622
O -2.94583 -2.58637 -4.72196
N -3.69749 -3.92641 -2.23060
C -3.20865 -3.69171 -0.87458
C -2.81669 -2.16197 -0.71365
C -1.49092 -1.77193 -1.45404
I -1.87447 0.08001 -2.56654
C -4.95366 -4.66769 -2.34092
C -5.06948 -6.02330 -1.56987
O -4.92569 -6.17254 -0.35666
O -5.39678 -7.02903 -2.30464
C -6.08607 -3.71151 -1.76970
O -6.39342 -3.63931 -0.63399
N -6.84285 -2.88104 -2.74443
C -6.09514 -1.72898 -3.17298
O -5.83039 -0.88225 -2.40889
F -5.75475 -1.64482 -4.48795
H -2.76339 -7.57280 -2.72055
H -3.54425 -6.70940 -4.04592
H -1.84600 -7.37926 -4.23959
H -4.27497 -5.31797 -5.51737
H -2.53076 -5.33980 -5.91068
H -3.53007 -4.07026 -6.63557
H -3.93835 -3.90130 -0.07228
H -2.28011 -4.25673 -0.61591
H -3.65529 -1.56245 -1.11959
H -2.75277 -1.93726 0.38022
H -1.07668 -2.56137 -2.10726
H -0.70391 -1.49950 -0.73426
H -5.26432 -4.86323 -3.39303
H -6.92537 -3.48079 -3.57617
C 1.89419 -0.01494 1.84112
C 2.93267 0.57742 2.43914
C 3.60872 1.76836 1.83631
O 4.54102 2.28703 2.42851
C 3.11835 2.25693 0.55136
C 2.08029 1.66188 -0.04947
C 1.38879 0.48885 0.56691
O 0.44120 -0.00249 -0.01162
O 1.60957 2.08735 -1.23084
O 3.41588 0.13078 3.60988
H 1.39573 -0.87505 2.26742
H 3.62502 3.10679 0.11713
H 0.85818 1.49557 -1.44972
>>>
Completed =
This record from OMol25 describes a 7-piece molecular cluster, C47H38FIN3O30 overall at a distorted geometry. The level of theory is ωB97M-V/def2-TZVPD.
Positions of all 120 atoms, in Å: